-- Input --
=====
## Rb2LiSbBr6 (PBE)

Data for a relaxed Rb2LiSbBr6 crystal.

## Properties
- crystal system = cubic
- space group = No. 225
- M_tot (μB/cell) = 0.00

Unit cell a=7.877 b=7.877 c=7.877 alpha=60.00 beta=60.00 gamma=60.00
Fractional coordinates of all 10 atoms:
Rb 0.750 0.750 0.750
Rb 0.250 0.250 0.250
Li 0.500 0.500 0.500
Sb 0.000 0.000 0.000
Br 0.747 0.253 0.253
Br 0.253 0.253 0.747
Br 0.253 0.747 0.747
Br 0.253 0.747 0.253
Br 0.747 0.253 0.747
Br 0.747 0.747 0.253

=====

## Rb2LiTaBr6 (PBE)

Data for a relaxed Rb2LiTaBr6 crystal.

## Properties
- crystal system = cubic
- space group = No. 225
- M_tot (μB/cell) = 2.00

Unit cell a=7.636 b=7.636 c=7.636 alpha=60.00 beta=60.00 gamma=60.00
Fractional coordinates of all 10 atoms:
Rb 0.750 0.750 0.750
Rb 0.250 0.250 0.250
Li 0.500 0.500 0.500
Ta 0.000 0.000 0.000
Br 0.756 0.244 0.244
Br 0.244 0.244 0.756
Br 0.244 0.756 0.756
Br 0.244 0.756 0.244
Br 0.756 0.244 0.756
Br 0.756 0.756 0.244

=====

## Rb2LiTlBr6 (PBE)

Data for a relaxed Rb2LiTlBr6 crystal.

## Properties
- crystal system = cubic
- space group = No. 225
- M_tot (μB/cell) = 0.00

Unit cell a=7.836 b=7.836 c=7.836 alpha=60.00 beta=60.00 gamma=60.00
Fractional coordinates of all 10 atoms:
Rb 0.750 0.750 0.750
Rb 0.250 0.250 0.250
Li 0.500 0.500 0.500
Tl 0.000 0.000 0.000
Br 0.748 0.252 0.252
Br 0.252 0.252 0.748
Br 0.252 0.748 0.748
Br 0.252 0.748 0.252
Br 0.748 0.252 0.748
Br 0.748 0.748 0.252

=====

## Rb2LiYBr6 (PBE)

Data for a relaxed Rb2LiYBr6 crystal.

## Properties
- crystal system = cubic
- space group = No. 225
- M_tot (μB/cell) = 0.00

Unit cell a=7.849 b=7.849 c=7.849 alpha=60.00 beta=60.00 gamma=60.00
Fractional coordinates of all 10 atoms:
Rb 0.750 0.750 0.750
Rb 0.250 0.250 0.250
Li 0.500 0.500 0.500
Y 0.000 0.000 0.000
Br 0.748 0.252 0.252
Br 0.252 0.252 0.748
Br 0.252 0.748 0.748
Br 0.252 0.748 0.252
Br 0.748 0.252 0.748
Br 0.748 0.748 0.252

=====

## Li2UBr6 (PBE)

Data for a relaxed Li2UBr6 crystal.

## Properties
- ΔE to the lowest computed polymorph (eV per atom) = 0.012
- crystal system = trigonal
- space group = No. 163
- M_tot (μB/cell) = 12.00

Unit cell a=6.967 b=6.967 c=41.246 alpha=90.00 beta=90.00 gamma=120.00
Fractional coordinates of all 54 atoms:
Br 0.000 0.667 0.288
Br 0.999 0.666 0.621
Br 0.000 0.666 0.954
Br 0.333 0.000 0.212
Br 0.334 0.000 0.546
Br 0.334 0.001 0.879
Br 0.000 0.333 0.212
Br 0.000 0.334 0.546
Br 0.999 0.333 0.879
Br 0.333 0.333 0.288
Br 0.334 0.333 0.621
Br 0.334 0.334 0.954
Br 0.333 0.334 0.121
Br 0.334 0.334 0.454
Br 0.333 0.333 0.788
Br 0.667 0.000 0.288
Br 0.666 0.000 0.954
Br 0.667 0.001 0.621
Br 0.334 0.000 0.046
Br 0.333 0.999 0.379
Br 0.333 0.000 0.712
Br 0.666 0.666 0.546
Br 0.667 0.667 0.212
Br 0.667 0.666 0.879
Br 0.666 0.666 0.046
Br 0.666 0.667 0.379
Br 0.667 0.667 0.712
Br 0.001 0.667 0.121
Br 0.000 0.666 0.454
Br 0.000 0.667 0.788
Br 0.666 0.999 0.121
Br 0.666 0.000 0.454
Br 0.667 0.000 0.788
Br 0.000 0.334 0.046
Br 0.001 0.334 0.379
Br 0.000 0.333 0.712
Li 0.333 0.667 0.750
Li 0.333 0.667 0.916
Li 0.333 0.667 0.584
Li 0.333 0.667 0.250
Li 0.667 0.333 0.250
Li 0.667 0.333 0.084
Li 0.667 0.333 0.416
Li 0.667 0.333 0.750
Li 0.000 0.000 0.083
Li 0.000 0.000 0.417
Li 0.000 0.000 0.583
Li 0.000 0.000 0.917
U 0.000 0.000 0.250
U 0.333 0.667 0.083
U 0.333 0.667 0.417
U 0.667 0.333 0.583
U 0.667 0.333 0.917
U 0.000 0.000 0.750

=====

## Li2UBr6 (PBE)

Data for a relaxed Li2UBr6 crystal.

## Properties
- ΔE to the lowest computed polymorph (eV per atom) = 0.000
- crystal system = trigonal
- space group = No. 162

Unit cell a=6.982 b=6.982 c=7.017 alpha=90.00 beta=90.00 gamma=120.00
Fractional coordinates of all 9 atoms:
Li 0.333 0.667 0.500
Li 0.667 0.333 0.500
U 0.000 0.000 0.500
Br 0.667 0.667 0.722
Br 0.000 0.333 0.722
Br 0.333 0.000 0.722
Br 0.333 0.333 0.278
Br 0.000 0.667 0.278
Br 0.667 0.000 0.278

=====

## Li2UBr6 (PBE)

Data for a relaxed Li2UBr6 crystal.

## Properties
- ΔE to the lowest computed polymorph (eV per atom) = 0.003
=====
-- Assignment --
Quote the whole of the material further above with every line break kept.
-- Done --
## Rb2LiSbBr6 (PBE)

Data for a relaxed Rb2LiSbBr6 crystal.

## Properties
- crystal system = cubic
- space group = No. 225
- M_tot (μB/cell) = 0.00

Unit cell a=7.877 b=7.877 c=7.877 alpha=60.00 beta=60.00 gamma=60.00
Fractional coordinates of all 10 atoms:
Rb 0.750 0.750 0.750
Rb 0.250 0.250 0.250
Li 0.500 0.500 0.500
Sb 0.000 0.000 0.000
Br 0.747 0.253 0.253
Br 0.253 0.253 0.747
Br 0.253 0.747 0.747
Br 0.253 0.747 0.253
Br 0.747 0.253 0.747
Br 0.747 0.747 0.253

=====

## Rb2LiTaBr6 (PBE)

Data for a relaxed Rb2LiTaBr6 crystal.

## Properties
- crystal system = cubic
- space group = No. 225
- M_tot (μB/cell) = 2.00

Unit cell a=7.636 b=7.636 c=7.636 alpha=60.00 beta=60.00 gamma=60.00
Fractional coordinates of all 10 atoms:
Rb 0.750 0.750 0.750
Rb 0.250 0.250 0.250
Li 0.500 0.500 0.500
Ta 0.000 0.000 0.000
Br 0.756 0.244 0.244
Br 0.244 0.244 0.756
Br 0.244 0.756 0.756
Br 0.244 0.756 0.244
Br 0.756 0.244 0.756
Br 0.756 0.756 0.244

=====

## Rb2LiTlBr6 (PBE)

Data for a relaxed Rb2LiTlBr6 crystal.

## Properties
- crystal system = cubic
- space group = No. 225
- M_tot (μB/cell) = 0.00

Unit cell a=7.836 b=7.836 c=7.836 alpha=60.00 beta=60.00 gamma=60.00
Fractional coordinates of all 10 atoms:
Rb 0.750 0.750 0.750
Rb 0.250 0.250 0.250
Li 0.500 0.500 0.500
Tl 0.000 0.000 0.000
Br 0.748 0.252 0.252
Br 0.252 0.252 0.748
Br 0.252 0.748 0.748
Br 0.252 0.748 0.252
Br 0.748 0.252 0.748
Br 0.748 0.748 0.252

=====

## Rb2LiYBr6 (PBE)

Data for a relaxed Rb2LiYBr6 crystal.

## Properties
- crystal system = cubic
- space group = No. 225
- M_tot (μB/cell) = 0.00

Unit cell a=7.849 b=7.849 c=7.849 alpha=60.00 beta=60.00 gamma=60.00
Fractional coordinates of all 10 atoms:
Rb 0.750 0.750 0.750
Rb 0.250 0.250 0.250
Li 0.500 0.500 0.500
Y 0.000 0.000 0.000
Br 0.748 0.252 0.252
Br 0.252 0.252 0.748
Br 0.252 0.748 0.748
Br 0.252 0.748 0.252
Br 0.748 0.252 0.748
Br 0.748 0.748 0.252

=====

## Li2UBr6 (PBE)

Data for a relaxed Li2UBr6 crystal.

## Properties
- ΔE to the lowest computed polymorph (eV per atom) = 0.012
- crystal system = trigonal
- space group = No. 163
- M_tot (μB/cell) = 12.00

Unit cell a=6.967 b=6.967 c=41.246 alpha=90.00 beta=90.00 gamma=120.00
Fractional coordinates of all 54 atoms:
Br 0.000 0.667 0.288
Br 0.999 0.666 0.621
Br 0.000 0.666 0.954
Br 0.333 0.000 0.212
Br 0.334 0.000 0.546
Br 0.334 0.001 0.879
Br 0.000 0.333 0.212
Br 0.000 0.334 0.546
Br 0.999 0.333 0.879
Br 0.333 0.333 0.288
Br 0.334 0.333 0.621
Br 0.334 0.334 0.954
Br 0.333 0.334 0.121
Br 0.334 0.334 0.454
Br 0.333 0.333 0.788
Br 0.667 0.000 0.288
Br 0.666 0.000 0.954
Br 0.667 0.001 0.621
Br 0.334 0.000 0.046
Br 0.333 0.999 0.379
Br 0.333 0.000 0.712
Br 0.666 0.666 0.546
Br 0.667 0.667 0.212
Br 0.667 0.666 0.879
Br 0.666 0.666 0.046
Br 0.666 0.667 0.379
Br 0.667 0.667 0.712
Br 0.001 0.667 0.121
Br 0.000 0.666 0.454
Br 0.000 0.667 0.788
Br 0.666 0.999 0.121
Br 0.666 0.000 0.454
Br 0.667 0.000 0.788
Br 0.000 0.334 0.046
Br 0.001 0.334 0.379
Br 0.000 0.333 0.712
Li 0.333 0.667 0.750
Li 0.333 0.667 0.916
Li 0.333 0.667 0.584
Li 0.333 0.667 0.250
Li 0.667 0.333 0.250
Li 0.667 0.333 0.084
Li 0.667 0.333 0.416
Li 0.667 0.333 0.750
Li 0.000 0.000 0.083
Li 0.000 0.000 0.417
Li 0.000 0.000 0.583
Li 0.000 0.000 0.917
U 0.000 0.000 0.250
U 0.333 0.667 0.083
U 0.333 0.667 0.417
U 0.667 0.333 0.583
U 0.667 0.333 0.917
U 0.000 0.000 0.750

=====

## Li2UBr6 (PBE)

Data for a relaxed Li2UBr6 crystal.

## Properties
- ΔE to the lowest computed polymorph (eV per atom) = 0.000
- crystal system = trigonal
- space group = No. 162

Unit cell a=6.982 b=6.982 c=7.017 alpha=90.00 beta=90.00 gamma=120.00
Fractional coordinates of all 9 atoms:
Li 0.333 0.667 0.500
Li 0.667 0.333 0.500
U 0.000 0.000 0.500
Br 0.667 0.667 0.722
Br 0.000 0.333 0.722
Br 0.333 0.000 0.722
Br 0.333 0.333 0.278
Br 0.000 0.667 0.278
Br 0.667 0.000 0.278

=====

## Li2UBr6 (PBE)

Data for a relaxed Li2UBr6 crystal.

## Properties
- ΔE to the lowest computed polymorph (eV per atom) = 0.003